== Listing ==
- - -
Entry 1:
Material: Pm3Zn4Ir2
Method: DFT, PBE-GGA
State: optimized geometry

Properties
Fermi-level density of states: 5.5 states/eV/f.u.
ρ: 9.5 g/cm³
SG: C2/m, No. 12
energy of formation from the pure elements: -0.516 eV/atom

Structure (extended XYZ):
```
9
Lattice="5.568 -2.151 0.000 5.568 2.151 0.000 -3.375 0.000 7.917" Properties=species:S:1:pos:R:3 pbc="T T T"
Pm 0.000 0.000 0.000
Pm 2.295 0.000 2.819
Pm 5.466 0.000 5.098
Zn -0.912 0.000 2.927
Zn -0.046 0.000 7.507
Zn 7.807 0.000 0.410
Zn 8.673 0.000 4.990
Ir 1.930 0.000 5.809
Ir 5.831 0.000 2.108
```

=====

Entry 2:
Material: Pm2Zn3Ir
Method: DFT, PBE-GGA
State: optimized geometry

Properties
Fermi-level density of states: 3.5 states/eV/f.u.
polymorph energy (0 for the lowest one): 1.27 kJ per mole of atoms
ρ: 8.9 g/cm³
SG: Fmmm, No. 69
energy of formation from the pure elements: -0.465 eV/atom

Structure (extended XYZ):
```
12
Lattice="0.000 4.460 7.652 3.718 0.000 7.652 3.718 4.460 0.000" Properties=species:S:1:pos:R:3 pbc="T T T"
Pm 5.649 4.460 7.652
Pm 1.859 2.230 3.826
Pm 5.578 6.690 11.478
Pm 1.788 4.460 7.652
Zn 3.718 2.248 6.380
Zn 3.718 4.460 5.078
Zn 3.718 2.248 8.924
Zn 3.718 6.672 6.380
Zn 3.718 4.460 10.226
Zn 3.718 6.672 8.924
Ir 3.718 4.460 2.490
Ir 3.718 4.460 12.814
```

=====

Entry 3:
Material: PmZn6Ir4
Method: DFT, PBE-GGA
State: optimized geometry

Properties
Fermi-level density of states: 9.6 states/eV/f.u.
ρ: 10.6 g/cm³
SG: I-42m, No. 121
energy of formation from the pure elements: -0.077 eV/atom

Structure (extended XYZ):
```
11
Lattice="-3.297 3.297 4.729 3.297 -3.297 4.729 3.297 3.297 -4.729" Properties=species:S:1:pos:R:3 pbc="T T T"
Pm 0.000 0.000 0.000
Zn 3.297 0.000 0.000
- - -
== Assignment ==
Set down only the lines earlier on with the word "energy" in them.
== Completed ==
energy of formation from the pure elements: -0.516 eV/atom
polymorph energy (0 for the lowest one): 1.27 kJ per mole of atoms
energy of formation from the pure elements: -0.465 eV/atom
energy of formation from the pure elements: -0.077 eV/atom